Variable feed rate

Hi Stewart,

while returning to milling after some quiet time, I always try to use the latest version and I noticed that the feed rate is divided by 2 while drilling along the sides of the holes. From my tests this seems to have been implemented in Kiri:Moto 3.9.
My main need is to drill rectangular mortises for louver jambs, the immediate consequence is a milling time raised by a factor 1.7 for the same part from 1h15 to 2h10. As I need to repeat similar millings many times, the overall time is raised by the same factor : I needed 2 days for a louver, I need now nearly 4 days :frowning:
I tried to revert to version 3.8, I’m not seeing this feed rate change so I’ll use this version for the moment. But I won’t benefit of the fixes and improvements of the next versions.

I understand that it’s a quality optimization, may it be possible to disable it and let the user assume between a better quality and a lower milling duration depending on his needs ? Either a new “Optimization” operation or something in the rough operation, like a “Variable feed rate” checkbox ? If it’s in a separate “Optimization” operation it can be globalized for all the feed rates, and new optimizations in the future may be grouped there.
Maybe it exists already or there’s some topic about this and I didn’t see them.


I don’t have a permanent solution to what you are seeing, but an easy workaround is to do a search and replace on you G-code file using a text editor. Search for the string Fxyz where xyz is the feed rate that is too low, and replace it with Fabc where abc is the feed rate you want.

Note that you should confirm that the change affects the code in the way you expect, but in most cases it is, and is a pretty simple change.

Hi Jeff,

No. 1
{"formula": "C3H7IN2OS", "method": "ωB97M-V/def2-TZVPD", "homo_energy_ha": [-0.3028, -0.3127], "lumo_ev": [-1.52, -1.01], "charge": 0, "homo_lumo_gap_ev": [6.7, 7.5], "e_tot_ha": -998.966633, "multiplicity": 1, "relative_energy_kj_mol": 163.9, "elements": ["C", "C", "C", "N", "N", "O", "S", "I", "H", "H", "H", "H", "H", "H", "H"], "coordinates": [[-0.0184, -0.8606, -0.6338], [0.4124, 0.4896, -0.1740], [-0.2328, 0.9288, 1.0585], [1.0868, -1.3494, -1.3789], [2.5453, -0.5002, 0.7690], [1.2424, -2.6315, 0.8623], [2.1012, -1.8931, -0.0511], [4.0559, 0.4877, 0.0127], [-0.2046, -1.5407, 0.2619], [-0.9731, -0.7529, -1.2522], [0.8918, 1.2053, -0.8659], [-1.2800, 0.9188, 0.8685], [0.1637, 1.9098, 1.3807], [0.0057, 0.3209, 1.8603], [0.7961, -2.2882, -1.7145]], "forces_ev_per_a": [[-1.6, 1.5, 0.2], [0.5, -1.1, 0.8], [1.4, 2.7, -0.6], [0.0, -1.9, -0.1], [-3.8, -0.3, -0.7], [-0.7, -0.2, 0.8], [3.5, -0.5, -0.5], [1.2, 0.7, -0.8], [-0.5, 1.0, -1.0], [1.2, -0.1, 0.6], [-0.1, -0.7, 0.4], [-1.1, 0.3, 0.1], [-0.7, -0.2, -0.4], [0.2, -1.7, 1.4], [0.4, 0.6, -0.4]], "nbo_charge": [-0.4161, 0.2155, -0.7158, -0.7803, -1.0055, -0.9663, 1.4892, 0.3263, 0.2665, 0.2578, 0.2211, 0.2411, 0.2311, 0.2630, 0.3725]}

***

No. 2
(Back to the page)

thanks for the idea, sorry for being long to answer, I’ve been off for a while.
Examining more closely the generated nc files, I saw that the value to replace is always at the end of a line and followed by a newline (\n). Then I have to search for an F followed by digits, a \n i.e. a whitespace-looking character, and the end of the string. I’m a Perl user, here’s a simple implementation with Perl in two steps, the first one is optional if you already know the value to replace.

  1. find the value to replace if you don't know it : it should be the most frequent in the nc file. The left column of the output contains the speeds, the right one the number of occurrences.
    perl -MData::Dumper -ne '++$h{$1} if /F(\d+)\s/ ; END { print Dumper(\%h) }' your nc file
  2. replace in your file : -i is mandatory to replace in-place, or you'll get the output on stdout. If an optional dotted-extension is provided after -i (warning : no space between -i and the extension), the original file is first copied to fileoptional extension e.g. file.bak if you use -i.bak, then modified in-place.
    perl -ioptional dotted-extension -pe 's/Fspeed value to replace(?=\s)$/Freplacement speed$1/' your nc file

Example, the file to modify is :

  1. search for the value to replace :
    perl -MData::Dumper -ne '++$h{$1} if /F(\d+)\s/ ; END { print Dumper(\%h) }' **
    $VAR1 = {
              '1100' => 453,
              '6000' => 9,
              '200' => 480,    this one is too low, it's not the one to replace
              '500' => 11,
              '550' => 480     the value to change
  2. actually replace in-place with a backup of the original file in a.bak :
    perl -i.bak -pe 's/F550(\s)/F1100$1/'

Nice use of perl, and thanks for posting. It is ideal for stuff like this, even though I use python more these days.